(Input)
+++
(1)
DFT (GGA-PBE) results for a geometry-optimized Pm15DyY4 structure.

Computed properties:
Uncorrected energy = -0.1865 hartree per atom
SG = P4/mmm (123)

Cell: 5.1444 5.1444 25.6348 Å, 90.00 90.00 90.00°
With the nearest neighbours (Å) after each atom.
Positions (direct):
Pm: 0.5000 0.5000 0.0000  8 Pm 3.62, 4 Dy 3.64
Pm: 0.5000 0.5000 0.1995  8 Pm 3.63, 4 Y 3.64
Pm: 0.5000 0.5000 0.3999  8 Pm 3.63, 4 Y 3.64
Pm: 0.5000 0.5000 0.6001  8 Pm 3.63, 4 Y 3.64
Pm: 0.5000 0.5000 0.8005  8 Pm 3.63, 4 Y 3.64
Pm: 0.5000 0.0000 0.0995  2 Dy 3.62, 8 Pm 3.62-3.64, 2 Y 3.63
Pm: 0.5000 0.0000 0.2997  4 Y 3.63, 8 Pm 3.63-3.64
Pm: 0.5000 0.0000 0.5000  8 Pm 3.63-3.64, 4 Y 3.63
Pm: 0.5000 0.0000 0.7003  4 Y 3.63, 8 Pm 3.63-3.64
Pm: 0.5000 0.0000 0.9005  2 Dy 3.62, 8 Pm 3.62-3.64, 2 Y 3.63
Pm: 0.0000 0.5000 0.0995  2 Dy 3.62, 8 Pm 3.62-3.64, 2 Y 3.63
Pm: 0.0000 0.5000 0.2997  4 Y 3.63, 8 Pm 3.63-3.64
Pm: 0.0000 0.5000 0.5000  8 Pm 3.63-3.64, 4 Y 3.63
Pm: 0.0000 0.5000 0.7003  4 Y 3.63, 8 Pm 3.63-3.64
Pm: 0.0000 0.5000 0.9005  2 Dy 3.62, 8 Pm 3.62-3.64, 2 Y 3.63
Dy: 0.0000 0.0000 0.0000  12 Pm 3.62-3.64
Y: 0.0000 0.0000 0.1996  12 Pm 3.63-3.64
Y: 0.0000 0.0000 0.3999  12 Pm 3.63-3.64
Y: 0.0000 0.0000 0.6001  12 Pm 3.63-3.64
Y: 0.0000 0.0000 0.8004  12 Pm 3.63-3.64



(2)
DFT (GGA-PBE) results for a geometry-optimized Cs2K6Rb2Na structure.

Computed properties:
Uncorrected energy = -0.0375 hartree per atom
SG = P-1 (2)

Cell: 9.5830 13.4797 10.5525 Å, 130.68 111.51 59.86°
With the nearest neighbours (Å) after each atom.
Positions (direct):
Cs: 0.3315 0.3659 0.4590  1 Na 4.63, 5 K 4.67-5.13, 1 Rb 5.02
Cs: 0.6685 0.6341 0.5410  1 Na 4.63, 5 K 4.67-5.13, 1 Rb 5.02
K: 0.2508 0.8509 0.0130  1 Na 4.30, 5 K 4.47-4.76, 2 Rb 4.59-4.76
K: 0.2689 0.1009 0.8759  1 Na 4.35, 5 K 4.39-4.75, 2 Rb 4.62-4.85, 2 Cs 4.67-4.85
K: 0.0039 0.8172 0.5106  1 Na 4.17, 3 K 4.39-4.47, 1 Rb 4.63
K: 0.7311 0.8991 0.1241  1 Na 4.35, 5 K 4.39-4.75, 2 Rb 4.62-4.85, 2 Cs 4.67-4.85
K: 0.9961 0.1828 0.4894  1 Na 4.17, 3 K 4.39-4.47, 1 Rb 4.63
K: 0.7492 0.1491 0.9870  1 Na 4.30, 5 K 4.47-4.76, 2 Rb 4.59-4.76
Rb: 0.7531 0.4906 0.9917  6 K 4.59-4.97, 2 Rb 4.79-4.80, 1 Cs 5.02
Rb: 0.2469 0.5094 0.0083  6 K 4.59-4.97, 2 Rb 4.79-4.80, 1 Cs 5.02
Na: 0.5000 0.0000 0.5000  6 K 4.17-4.35, 2 Cs 4.63



(3)
DFT (GGA-PBE) results for a geometry-optimized Zn2PbBr structure.

Computed properties:
Uncorrected energy = -0.0733 hartree per atom
Relative energy among the computed polymorphs = 66 meV per atom
SG = Cmm2 (35)

Cell: 3.4753 3.4753 9.1243 Å, 90.00 90.00 115.84°
With the nearest neighbours (Å) after each atom.
Positions (direct):
Br: 0.0000 0.0000 0.4426  2 Zn 2.60
Pb: 0.5000 0.5000 0.7734  2 Zn 3.07
Zn: 0.0000 0.0000 0.0427  2 Zn 2.59
Zn: 0.5000 0.5000 0.2414  2 Zn 2.59, 2 Br 2.60



(4)
DFT (GGA-PBE) results for a geometry-optimized Pm3Sn3H structure.

Computed properties:
Uncorrected energy = -0.1787 hartree per atom
SG = C2/m (12)

Cell: 6.6093 6.6093 8.9517 Å, 95.72 95.72 109.70°
With the nearest neighbours (Å) after each atom.
Positions (direct):
Pm: 0.8322 0.8322 0.1226  2 H 2.38-2.43
Pm: 0.8911 0.5397 0.7266  1 H 2.36
Pm: 0.5397 0.8911 0.7266  1 H 2.36
Pm: 0.1089 0.4603 0.2734  1 H 2.36
Pm: 0.4603 0.1089 0.2734  1 H 2.36
Pm: 0.1678 0.1678 0.8774  2 H 2.38-2.43
Sn: 0.6376 0.6376 0.4081  3 Sn 2.88-3.11, 1 Pm 3.17
Sn: 0.1357 0.8643 0.5000  3 Sn 2.93-3.11, 4 Pm 3.13-3.24
Sn: 0.8643 0.1357 0.5000  3 Sn 2.93-3.11, 4 Pm 3.13-3.24
Sn: 0.2786 0.7214 0.0000  8 Pm 3.17-3.52, 2 H 3.39
Sn: 0.7214 0.2786 0.0000  8 Pm 3.17-3.52, 2 H 3.39
Sn: 0.3624 0.3624 0.5919  3 Sn 2.88-3.11, 1 Pm 3.17
H: 0.8459 0.8459 0.8589  4 Pm 2.36-2.43
H: 0.1541 0.1541 0.1411  4 Pm 2.36-2.43



(5)
DFT (GGA-PBE) results for a geometry-optimized Pm3P2O structure.

Computed properties:
Uncorrected energy = -0.2539 hartree per atom
SG = C2/c (15)

Cell: 5.7448 7.8833 6.8385 Å, 106.70 114.84 90.00°
With the nearest neighbours (Å) after each atom.
Positions (direct):
Pm: 0.4572 0.2500 0.0000  1 O 2.36
+++
(Exercise)
Now quote all of the rows further up with every line break kept.
(Worked solution)
(1)
DFT (GGA-PBE) results for a geometry-optimized Pm15DyY4 structure.

Computed properties:
Uncorrected energy = -0.1865 hartree per atom
SG = P4/mmm (123)

Cell: 5.1444 5.1444 25.6348 Å, 90.00 90.00 90.00°
With the nearest neighbours (Å) after each atom.
Positions (direct):
Pm: 0.5000 0.5000 0.0000  8 Pm 3.62, 4 Dy 3.64
Pm: 0.5000 0.5000 0.1995  8 Pm 3.63, 4 Y 3.64
Pm: 0.5000 0.5000 0.3999  8 Pm 3.63, 4 Y 3.64
Pm: 0.5000 0.5000 0.6001  8 Pm 3.63, 4 Y 3.64
Pm: 0.5000 0.5000 0.8005  8 Pm 3.63, 4 Y 3.64
Pm: 0.5000 0.0000 0.0995  2 Dy 3.62, 8 Pm 3.62-3.64, 2 Y 3.63
Pm: 0.5000 0.0000 0.2997  4 Y 3.63, 8 Pm 3.63-3.64
Pm: 0.5000 0.0000 0.5000  8 Pm 3.63-3.64, 4 Y 3.63
Pm: 0.5000 0.0000 0.7003  4 Y 3.63, 8 Pm 3.63-3.64
Pm: 0.5000 0.0000 0.9005  2 Dy 3.62, 8 Pm 3.62-3.64, 2 Y 3.63
Pm: 0.0000 0.5000 0.0995  2 Dy 3.62, 8 Pm 3.62-3.64, 2 Y 3.63
Pm: 0.0000 0.5000 0.2997  4 Y 3.63, 8 Pm 3.63-3.64
Pm: 0.0000 0.5000 0.5000  8 Pm 3.63-3.64, 4 Y 3.63
Pm: 0.0000 0.5000 0.7003  4 Y 3.63, 8 Pm 3.63-3.64
Pm: 0.0000 0.5000 0.9005  2 Dy 3.62, 8 Pm 3.62-3.64, 2 Y 3.63
Dy: 0.0000 0.0000 0.0000  12 Pm 3.62-3.64
Y: 0.0000 0.0000 0.1996  12 Pm 3.63-3.64
Y: 0.0000 0.0000 0.3999  12 Pm 3.63-3.64
Y: 0.0000 0.0000 0.6001  12 Pm 3.63-3.64
Y: 0.0000 0.0000 0.8004  12 Pm 3.63-3.64



(2)
DFT (GGA-PBE) results for a geometry-optimized Cs2K6Rb2Na structure.

Computed properties:
Uncorrected energy = -0.0375 hartree per atom
SG = P-1 (2)

Cell: 9.5830 13.4797 10.5525 Å, 130.68 111.51 59.86°
With the nearest neighbours (Å) after each atom.
Positions (direct):
Cs: 0.3315 0.3659 0.4590  1 Na 4.63, 5 K 4.67-5.13, 1 Rb 5.02
Cs: 0.6685 0.6341 0.5410  1 Na 4.63, 5 K 4.67-5.13, 1 Rb 5.02
K: 0.2508 0.8509 0.0130  1 Na 4.30, 5 K 4.47-4.76, 2 Rb 4.59-4.76
K: 0.2689 0.1009 0.8759  1 Na 4.35, 5 K 4.39-4.75, 2 Rb 4.62-4.85, 2 Cs 4.67-4.85
K: 0.0039 0.8172 0.5106  1 Na 4.17, 3 K 4.39-4.47, 1 Rb 4.63
K: 0.7311 0.8991 0.1241  1 Na 4.35, 5 K 4.39-4.75, 2 Rb 4.62-4.85, 2 Cs 4.67-4.85
K: 0.9961 0.1828 0.4894  1 Na 4.17, 3 K 4.39-4.47, 1 Rb 4.63
K: 0.7492 0.1491 0.9870  1 Na 4.30, 5 K 4.47-4.76, 2 Rb 4.59-4.76
Rb: 0.7531 0.4906 0.9917  6 K 4.59-4.97, 2 Rb 4.79-4.80, 1 Cs 5.02
Rb: 0.2469 0.5094 0.0083  6 K 4.59-4.97, 2 Rb 4.79-4.80, 1 Cs 5.02
Na: 0.5000 0.0000 0.5000  6 K 4.17-4.35, 2 Cs 4.63



(3)
DFT (GGA-PBE) results for a geometry-optimized Zn2PbBr structure.

Computed properties:
Uncorrected energy = -0.0733 hartree per atom
Relative energy among the computed polymorphs = 66 meV per atom
SG = Cmm2 (35)

Cell: 3.4753 3.4753 9.1243 Å, 90.00 90.00 115.84°
With the nearest neighbours (Å) after each atom.
Positions (direct):
Br: 0.0000 0.0000 0.4426  2 Zn 2.60
Pb: 0.5000 0.5000 0.7734  2 Zn 3.07
Zn: 0.0000 0.0000 0.0427  2 Zn 2.59
Zn: 0.5000 0.5000 0.2414  2 Zn 2.59, 2 Br 2.60



(4)
DFT (GGA-PBE) results for a geometry-optimized Pm3Sn3H structure.

Computed properties:
Uncorrected energy = -0.1787 hartree per atom
SG = C2/m (12)

Cell: 6.6093 6.6093 8.9517 Å, 95.72 95.72 109.70°
With the nearest neighbours (Å) after each atom.
Positions (direct):
Pm: 0.8322 0.8322 0.1226  2 H 2.38-2.43
Pm: 0.8911 0.5397 0.7266  1 H 2.36
Pm: 0.5397 0.8911 0.7266  1 H 2.36
Pm: 0.1089 0.4603 0.2734  1 H 2.36
Pm: 0.4603 0.1089 0.2734  1 H 2.36
Pm: 0.1678 0.1678 0.8774  2 H 2.38-2.43
Sn: 0.6376 0.6376 0.4081  3 Sn 2.88-3.11, 1 Pm 3.17
Sn: 0.1357 0.8643 0.5000  3 Sn 2.93-3.11, 4 Pm 3.13-3.24
Sn: 0.8643 0.1357 0.5000  3 Sn 2.93-3.11, 4 Pm 3.13-3.24
Sn: 0.2786 0.7214 0.0000  8 Pm 3.17-3.52, 2 H 3.39
Sn: 0.7214 0.2786 0.0000  8 Pm 3.17-3.52, 2 H 3.39
Sn: 0.3624 0.3624 0.5919  3 Sn 2.88-3.11, 1 Pm 3.17
H: 0.8459 0.8459 0.8589  4 Pm 2.36-2.43
H: 0.1541 0.1541 0.1411  4 Pm 2.36-2.43



(5)
DFT (GGA-PBE) results for a geometry-optimized Pm3P2O structure.

Computed properties:
Uncorrected energy = -0.2539 hartree per atom
SG = C2/c (15)

Cell: 5.7448 7.8833 6.8385 Å, 106.70 114.84 90.00°
With the nearest neighbours (Å) after each atom.
Positions (direct):
Pm: 0.4572 0.2500 0.0000  1 O 2.36